## Data
=====
Calculated powder diffractogram of K3BaPCO7 for Cu Kα X-rays, from a PBE-relaxed structure.

Cell: 5.819 7.852 10.244 Å, 90.00 91.24 90.00°
Space group P2_1/m (No. 11)
Inequivalent atoms, fractional coordinates:
K  0.239  0.250  0.416
K  0.252  0.507  0.754
Ba  0.233  0.750  0.127
P  0.299  0.250  0.094
C  0.262  0.750  0.440
O  0.061  0.750  0.382
O  0.212  0.250  0.948
O  0.214  0.088  0.168
O  0.278  0.750  0.568
O  0.433  0.750  0.904
O  0.449  0.750  0.371

Top 12 peaks for 2θ from 10° to 80°, sorted by position:
d = 4.674 Å, intensity 24
d = 4.289 Å, intensity 26
d = 3.926 Å, intensity 62
d = 3.114 Å, intensity 96
d = 3.091 Å, intensity 65
d = 2.973 Å, intensity 31
d = 2.912 Å, intensity 100
d = 2.781 Å, intensity 27
d = 2.387 Å, intensity 34
d = 2.144 Å, intensity 53
d = 1.963 Å, intensity 36
d = 1.628 Å, intensity 28

* * * * *

For Cs4NdNp3O12, a crystal structure in Alexandria, relaxed with GGA-PBE gives the computed powder diffraction line list in this record (Cu Kα).
Neutral-atom scattering factors, no anomalous dispersion.

Largest 12 diffraction maxima, by angle, 10 to 90 degrees two-theta:
2theta, intensity, (hkl)
14.13, 3, 1 1 0
20.03, 10, 2 0 0
28.48, 100, 2 2 0
40.72, 28, 4 0 0
45.78, 5, 4 2 0
50.44, 42, 4 2 2
58.94, 18, 4 4 0
62.91, 2, 6 0 0
66.74, 19, 6 2 0
74.11, 6, 4 4 4
81.21, 22, 6 4 2
88.18, 3, 8 0 0

Cell and atoms:
```
data_Cs4NdNp3O12
_chemical_formula_sum 'Cs8 Nd2 Np6 O24'
_cell_length_a 8.8640
_cell_length_b 8.8640
_cell_length_c 8.8640
_cell_angle_alpha 90.00
_cell_angle_beta 90.00
_cell_angle_gamma 90.00
_symmetry_space_group_name_H-M 'I m -3 m'
_symmetry_Int_Tables_number 229
_symmetry_space_group_name_Hall '-I 4 2 3'
loop_
_atom_site_label
_atom_site_fract_x
_atom_site_fract_y
_atom_site_fract_z
Cs1 0.2500 0.2500 0.2500
Nd1 0.0000 0.0000 0.0000
Np1 0.0000 0.0000 0.5000
O1 0.0000 0.0000 0.2733
O2 0.0000 0.2500 0.5000
```
=====

## What to do
Could you echo the calculation results further up from the line with "intensity 100" to the end unchanged?

## Result
d = 2.912 Å, intensity 100
d = 2.781 Å, intensity 27
d = 2.387 Å, intensity 34
d = 2.144 Å, intensity 53
d = 1.963 Å, intensity 36
d = 1.628 Å, intensity 28

* * * * *

For Cs4NdNp3O12, a crystal structure in Alexandria, relaxed with GGA-PBE gives the computed powder diffraction line list in this record (Cu Kα).
Neutral-atom scattering factors, no anomalous dispersion.

Largest 12 diffraction maxima, by angle, 10 to 90 degrees two-theta:
2theta, intensity, (hkl)
14.13, 3, 1 1 0
20.03, 10, 2 0 0
28.48, 100, 2 2 0
40.72, 28, 4 0 0
45.78, 5, 4 2 0
50.44, 42, 4 2 2
58.94, 18, 4 4 0
62.91, 2, 6 0 0
66.74, 19, 6 2 0
74.11, 6, 4 4 4
81.21, 22, 6 4 2
88.18, 3, 8 0 0

Cell and atoms:
```
data_Cs4NdNp3O12
_chemical_formula_sum 'Cs8 Nd2 Np6 O24'
_cell_length_a 8.8640
_cell_length_b 8.8640
_cell_length_c 8.8640
_cell_angle_alpha 90.00
_cell_angle_beta 90.00
_cell_angle_gamma 90.00
_symmetry_space_group_name_H-M 'I m -3 m'
_symmetry_Int_Tables_number 229
_symmetry_space_group_name_Hall '-I 4 2 3'
loop_
_atom_site_label
_atom_site_fract_x
_atom_site_fract_y
_atom_site_fract_z
Cs1 0.2500 0.2500 0.2500
Nd1 0.0000 0.0000 0.0000
Np1 0.0000 0.0000 0.5000
O1 0.0000 0.0000 0.2733
O2 0.0000 0.2500 0.5000
```